Pacts in fashion
On the eve of World War II, pacts were in vogue. Perhaps the first agreement called the pact was a joint political act between Germany and Japan (Anti-Comintern), signed in November 1936. Then only the civil war broke out in Spain and the Reds raised their heads in Southeast Asia, which was considered the zone of interests of Japan.
Before that, there was still an unsuccessful attempt to form a kind of Eastern Pact on the old continent with the participation of the USSR, Germany, Czechoslovakia, Finland, Poland and the Baltic countries. And Italy joined the Anti-Comintern Pact, and Mussolini did it as if on purpose on November 7, 1937, as a gift to Stalin for the twentieth anniversary of the October Revolution.

The direction of the tripartite agreement of the Axis countries against the Comintern was even ridiculed by Stalin in a speech at the 18th Congress of the CPSU (b) in the spring of 1939. The leader of the peoples has clearly defined that the military bloc of Germany, Italy and Japan is directed against the interests of the United States, Britain and France. The USSR, as one could understand, only followed them, and the "centers" of the Comintern, according to Stalin, were "ridiculous to look for in the deserts of Mongolia, the mountains of Abyssinia and the wilds of Spanish Morocco" - the then hot spots.

(These materials data were left in the text by mistake)
'''
Starting from a PBE-relaxed structure, the PXRD pattern of USn2 was simulated for Cu Ka.

The 6 most intense peaks (2θ from 5° to 70°), by angle:
33.3°, I 100.0; 36.4°, I 18.3; 38.7°, I 17.4; 40.6°, I 15.4; 66.6°, I 14.6; 69.3°, I 12.8

Crystal structure
Cell lengths 7.733, 7.733, 4.654 Å; angles 90.00, 90.00, 146.62 degrees
Sites, in units of the cell vectors:
U (0.154, 0.846, 0.000)
U (0.846, 0.154, 0.000)
Sn (0.000, 0.000, 0.500)
Sn (0.323, 0.677, 0.500)
Sn (0.500, 0.500, 0.000)
Sn (0.677, 0.323, 0.500)

=====

Starting from a PBE-relaxed structure, the PXRD pattern of Te3Pd13 was simulated for Cu Ka.

The 6 most intense peaks (2θ from 5° to 70°), by angle:
22.9°, I 0.7; 36.2°, I 3.4; 39.5°, I 100.0; 54.7°, I 3.3; 57.1°, I 15.9; 62.4°, I 0.7

Crystal structure
Cell lengths 9.120, 9.120, 9.120 Å; angles 60.00, 60.00, 60.00 degrees
Sites, in units of the cell vectors:
Te (0.000, 0.000, 0.000)
Te (0.000, 0.000, 0.500)
Te (0.000, 0.500, 0.000)
Te (0.375, 0.375, 0.375)
Te (0.500, 0.000, 0.000)
Te (0.625, 0.625, 0.625)
Pd (0.000, 0.500, 0.500)
Pd (0.113, 0.113, 0.637)
Pd (0.113, 0.637, 0.113)
Pd (0.113, 0.637, 0.637)
Pd (0.125, 0.125, 0.125)
Pd (0.260, 0.260, 0.260)
Pd (0.260, 0.260, 0.721)
Pd (0.260, 0.721, 0.260)
Pd (0.279, 0.740, 0.740)
Pd (0.363, 0.363, 0.887)
Pd (0.363, 0.887, 0.363)
Pd (0.363, 0.887, 0.887)
Pd (0.500, 0.000, 0.500)
Pd (0.500, 0.500, 0.000)
Pd (0.500, 0.500, 0.500)
Pd (0.637, 0.113, 0.113)
Pd (0.637, 0.113, 0.637)
Pd (0.637, 0.637, 0.113)
Pd (0.721, 0.260, 0.260)
Pd (0.740, 0.279, 0.740)
Pd (0.740, 0.740, 0.279)
Pd (0.740, 0.740, 0.740)
Pd (0.875, 0.875, 0.875)
Pd (0.887, 0.363, 0.363)
Pd (0.887, 0.363, 0.887)
Pd (0.887, 0.887, 0.363)

=====

Starting from a PBE-relaxed structure, the PXRD pattern of PmErZn2 was simulated for Cu Ka.

The 6 most intense peaks (2θ from 5° to 70°), by angle:
24.7°, I 17.0; 35.2°, I 100.0; 43.4°, I 5.2; 50.6°, I 17.7; 57.1°, I 7.2; 63.1°, I 35.8

Crystal structure
Cell lengths 5.102, 5.102, 5.102 Å; angles 60.00, 60.00, 60.00 degrees
Sites, in units of the cell vectors:
Pm (0.000, 0.000, 0.000)
Er (0.500, 0.500, 0.500)
Zn (0.250, 0.250, 0.250)
Zn (0.750, 0.750, 0.750)

=====

Starting from a PBE-relaxed structure, the PXRD pattern of Tb2Si5Os3 was simulated for Cu Ka.

The 6 most intense peaks (2θ from 5° to 70°), by angle:
26.2°, I 100.0; 30.6°, I 74.3; 33.6°, I 47.7; 37.4°, I 47.6; 38.0°, I 85.5; 39.5°, I 59.9

Crystal structure
Cell lengths 10.748, 10.748, 5.700 Å; angles 90.00, 90.00, 90.00 degrees
Sites, in units of the cell vectors:
Tb (0.070, 0.235, 0.000)
Tb (0.235, 0.930, 0.000)
Tb (0.265, 0.430, 0.500)
Tb (0.430, 0.735, 0.500)
Tb (0.570, 0.265, 0.500)
Tb (0.735, 0.570, 0.500)
Tb (0.765, 0.070, 0.000)
Tb (0.930, 0.765, 0.000)
Si (0.000, 0.000, 0.257)
Si (0.000, 0.000, 0.743)
Si (0.026, 0.320, 0.500)
Si (0.173, 0.673, 0.250)
Si (0.173, 0.673, 0.750)
Si (0.180, 0.474, 0.000)
Si (0.320, 0.974, 0.500)
Si (0.327, 0.173, 0.250)
Si (0.327, 0.173, 0.750)
Si (0.474, 0.820, 0.000)
'''

The fact that the Anti-Comintern Pact was replaced in 1940 by the Triple Berlin Pact, already anti-American, did not change anything in essence. There were also pacts between the Russians and the French, the Germans with the Poles, and, of course, the Ribbentrop-Molotov pact, which was regarded in Japan as a betrayal of the ideas of the Anti-Comintern Pact.
It took Hitler a lot of work in the fall of 1939 to convince the Mikado subjects that it was too early for the Japanese to leave the notorious Berlin-Rome-Tokyo Axis. But it only seemed that the solitaire relationship in the already established blocks was changing too often. Even the war with Finland, and then the annexation of the three Baltic states to the Soviet Union, did not force Washington and London to make a direct break with Moscow.
Too encouraging was the prospect that the Nazis would be seriously (albeit briefly) stuck in Russia. The pause was badly needed not only for Britain, which was barely able to withstand the threat of a German invasion, but also for the United States, where the military industry was just gaining momentum.
However, the American position depended too much on when it would be possible to convince the isolationists that it was impossible to sit out overseas even in this European war. Moreover, unlike the First World War, where insignificant contingents of troops fought in the colonies, the second turned out to be by no means only European.
The old continent was almost completely crushed by the Nazis, along with Italy that joined them. Today, there is no longer any need to prove that, often demonstrating ostentatious indifference to numerous German provocations, the F. D. Roosevelt administration did everything to make the Japanese expansion in the Far East a real irritant for the general public.
But this is not more important. American business could no longer ignore the competition from the unexpectedly rising Eastern colossus. Yes, the preparation of the United States for war unfolded at full power only after the Hitlerite Wehrmacht attacked the USSR, but the Americans had to take their side in the world conflict much earlier.
In Japan, hardly anyone counted on the creation of a great Eastern empire without opposition from the United States. However, in order to withstand the struggle with such a power, even if it is fighting on a distant periphery, it was necessary to provide a reliable rear.

(The text is interrupted by data records)
********
# NaLa2Ru
Simulated PXRD pattern, Cu Kα. Input: a GGA-PBE-relaxed structure.

Main lines, by angle (2θ from 15° to 90°):
| h k l | 2theta | I_rel |
| --- | --- | --- |
| 0 1 2 | 25.59 | 19 |
| 1 0 4 | 27.84 | 26 |
| 0 1 5 | 29.42 | 100 |
| 0 1 8 | 35.53 | 47 |
| 1 0 10 | 40.46 | 23 |
| 1 1 0 | 43.67 | 41 |
| 1 1 3 | 44.76 | 24 |
| 1 0 13 | 48.73 | 28 |
| 2 0 5 | 53.54 | 18 |
| 1 2 5 | 71.48 | 15 |

Structure:
```
12
Lattice="4.1450 0.0000 0.0000 -2.0725 3.5897 0.0000 0.0000 0.0000 28.4506" Properties=species:S:1:pos:R:3 pbc="T T T"
Na 0.0000 0.0000 0.0000
Na 0.0000 2.3931 18.9670
Na 2.0725 1.1966 9.4835
La 0.0000 0.0000 15.7126
La 0.0000 0.0000 22.1675
La 0.0000 2.3931 6.2291
La 0.0000 2.3931 12.6840
La 2.0725 1.1966 3.2005
La 2.0725 1.1966 25.1961
Ru 0.0000 0.0000 4.7075
Ru 0.0000 2.3931 23.6745
Ru 2.0725 1.1966 14.1910
```
********

The Chinese factor was really not taken seriously in Tokyo, they hoped to tame the Kuomintangists Chiang Kai-shek, among other things, offering them "to beat the communists together." However, just at this time, two conflicts with the new Russia occurred - a kind of reconnaissance in force. Indeed, even three or four years before that, in Japan, not least at the suggestion of the press, they came to the conclusion that the Soviets were not ready to fight on distant fronts.
One of the clashes, on Lake Khasan, turned out to be local, but inflated to the scale of a small war, while the other, on the Mongolian Khalkhin Gol, on the contrary, was too serious to be carefully veiled. They actually forced Japanese politicians to change their direction at least for a while.
Yosuke Matsuoka's Diplomatic Blitzkrieg
The same was dictated by business, the role of which in Japanese neutrality is written in the pages of the Military Review (The Secret of Japanese Neutrality). Defense orders came to entrepreneurs on an increasing basis, and for their fulfillment there was an acute shortage of resources, primarily oil.
The Yamato empire ran out of oil by the 1920s, and before the war, most of it, up to 90%, was bought from the United States. But they clearly had to be at war, and an alternative was needed. There was only one option left - in the Soviet Union, on Sakhalin.
Back in the fall of 1940, Japanese Foreign Minister Yosuke Matsuoka offered V. Molotov, at that time the head of the Soviet government, a neutrality treaty in exchange for maintaining the Sakhalin concessions. Preliminary consent was obtained, although the neutrality pact did not allow raising the question of returning South Sakhalin and the Kuriles. Then they did not belong to us.
However, the Kremlin dragged on with specifics due to the need to settle in the Baltic States and Moldova, as well as to gain a foothold on the Karelian Isthmus. At this time, Stalin planned to replace Molotov as chairman of the Council of People's Commissars, and Matsuoka, despite the fact that he could not know about it, actually had to go on a second round.
Matsuoka has not forgotten the humiliation Japan suffered two years earlier when Joachim Ribbentrop, the German foreign minister, signed a non-aggression pact with Molotov. Soviet diplomats and Stalin personally made curtsies in the direction of Germany, and did not even remember about the Japanese. The Germans simply abandoned them, leaving them without allies, when the war in the East could begin at any moment.
Matsuoka, who came to Europe especially for this, did not even stutter in Moscow about the consequences of the recent military conflicts with the Russians, having received in response a proposal to expand the non-aggression pact to the level of a neutrality pact. In fact, then the Soviet leadership had a free hand, and the Japanese minister, according to V. Molotov, his assertiveness cost a lot.

Calculated crystals, as found in the file:
~~~
Entry 1:
# CsSrB3H12
Theoretical powder diffractogram, Cu Kα, 1.54184 Å. Input: the PBE geometry in the Materials Project.
Peak positions follow from Bragg's law for the DFT cell and can differ from measured ones.

Structural model:
Lattice parameters (Å, degrees): 8.378 8.408 6.212 90.00 90.00 90.00
Space group P2_12_12 (No. 18)
One atom of each set of equivalent atoms:
1 Cs 0.000 0.000 0.011 x2
2 Sr 0.000 0.500 0.515 x2
3 B 0.000 0.500 0.016 x2
4 B 0.202 0.197 0.509 x4
5 H 0.061 0.396 0.905 x4
6 H 0.105 0.562 0.126 x4
7 H 0.126 0.232 0.348 x4
8 H 0.149 0.263 0.668 x4
9 H 0.159 0.745 0.512 x4
10 H 0.195 0.053 0.539 x4

Largest 12 diffraction maxima, in order of rising 2θ, 2θ from 10° to 90°:
h k l, d [Å], two_theta, I/Imax
1 1 1, 4.291, 20.70, 100
2 0 0, 4.196, 21.17, 52
2 0 1, 3.477, 25.62, 8
0 0 2, 3.106, 28.74, 17
2 2 0, 2.967, 30.12, 28
0 2 2, 2.497, 35.97, 27
3 1 1, 2.441, 36.83, 52
2 2 2, 2.146, 42.12, 21
1 1 3, 1.955, 46.45, 12
3 3 1, 1.885, 48.28, 11
3 1 3, 1.633, 56.36, 14
4 2 2, 1.606, 57.36, 15

=====

Entry 2:
# Cs2HgB9Se9
Theoretical powder diffractogram, Cu Kα, 1.54184 Å. Input: the PBE geometry in the Materials Project.
Peak positions follow from Bragg's law for the DFT cell and can differ from measured ones.

Structural model:
Lattice parameters (Å, degrees): 10.113 10.950 11.271 100.09 90.48 116.07
Space group P-1 (No. 2)
One atom of each set of equivalent atoms:
1 Cs 0.177 0.346 0.015 x2
2 Cs 0.205 0.827 0.498 x2
3 Hg 0.328 0.325 0.575 x2
4 B 0.254 0.092 0.280 x2
5 B 0.257 0.590 0.788 x2
6 B 0.340 0.007 0.038 x2
7 B 0.340 0.880 0.914 x2
8 B 0.382 0.872 0.066 x2
9 B 0.422 0.060 0.904 x2
10 B 0.435 0.720 0.242 x2
11 B 0.486 0.044 0.149 x2
12 B 0.487 0.840 0.950 x2
13 Se 0.136 0.135 0.400 x2
14 Se 0.140 0.407 0.688 x2
15 Se 0.165 0.025 0.110 x2
16 Se 0.167 0.720 0.808 x2
17 Se 0.263 0.721 0.157 x2
18 Se 0.362 0.151 0.786 x2
19 Se 0.396 0.593 0.353 x2
20 Se 0.448 0.100 0.320 x2
21 Se 0.449 0.644 0.877 x2

Largest 12 diffraction maxima, in order of rising 2θ, 2θ from 10° to 90°:
h k l, d [Å], two_theta, I/Imax
-2 1 1, 4.601, 19.29, 57
2 0 0, 4.526, 19.61, 58
0 2 -2, 4.053, 21.93, 100
-1 2 2, 3.567, 24.96, 73
1 2 -2, 3.338, 26.71, 68
-2 2 2, 3.318, 26.87, 59
2 1 1, 3.227, 27.64, 91
2 -1 3, 2.969, 30.10, 61
1 1 3, 2.839, 31.52, 61
-3 3 1, 2.794, 32.03, 49
2 -3 3, 2.714, 33.01, 52
-4 1 1, 2.429, 37.01, 59
~~~

Many years later, the Soviet People's Commissar recalled: “This farewell was worth the fact that Japan did not fight with us. Matsuoka later paid for this visit to us … "Molotov, of course, had in mind the famous arrival at the Yaroslavl station to the train of the imperial minister of Stalin himself, who, in front of the German ambassador Schulenburg, was demonstratively kind to Matsuoka, saying to him:" You are Asian and I am Asian … If we are together, all the problems of Asia can be solved."
The main thing was in Article 2 of the signed pact:
In the event that one of the contracting parties becomes the object of hostilities by one or more third powers, the other contracting party will maintain neutrality throughout the entire conflict.
Strange neutrality
The reaction of Japan's allies to the pact with the Soviets was by no means positive: they also lost an ally in the upcoming battle with them. Hitler was simply furious, saying that he was not going to fight the United States instead of the Japanese. Although, in fact, he did just that, trying in vain to play the card of American isolationism.
After Moscow, Matsuoka visited the Axis allies in Berlin and Rome, where he made no secret of his great friendliness and respect for the United States. But even from Mussolini, he was forced to listen to demands for Japan to take a firmer anti-American position.
The United States reacted no less original to the Soviet-Japanese agreements. The Matsuoka-Molotov Pact was immediately called strange neutrality in the American press. The Kremlin was reminded not only of the recent clashes with Japan, but also was not allowed to forget about the anti-Comintern pact, support for the Kuomintang regime, and along with Chiang Kai-shek, the Chinese communists who were slowly but surely gaining points.
At that time, Washington had not yet planned to provide direct assistance to Red Russia, although they warned its leader as best they could about the reality of the German threat. But this will happen very soon, but for now, they rather soberly interpreted the agreements with the Japanese as an attempt by Moscow to avoid being stabbed in the back.

Moreover, in addition to the Japanese, the offensive from the rear of Stalin's Russia could be threatened by the Turks and even the Iranians. The latter, as the almost bloodless occupation of Persia by British and Soviet troops in the summer of 1941 showed, was not worth fearing at all, but the Turks, it seems, have not forgotten Soviet aid and support in the early 1920s for twenty years. And with Hitler, the heirs of Mustafa Kemal simply did not bargain, because they wanted too much, right up to the revival of the Ottoman Empire.
Obviously, if a "strange war" happened, then "strange neutrality" had to be taken for granted. But if the strange war ended as soon as Hitler untied his hands for an offensive on the Western Front, then the strange neutrality was delayed, since it was beneficial to both Japan and the USSR.
The strange neutrality did not prevent the Soviet Union from receiving aid from direct opponents of Japan. At the same time, oil from Sakhalin almost until the last days of the war came to the Land of the Rising Sun. Interestingly, the Japanese themselves proposed breaking the oil concessions so that "neutrality" would not be so strange.
But the solution to this issue was delayed until 1944 due to the fact that Germany attacked the USSR. But even before the end of the war, the parties agreed on an additional protocol to the "Pact of Neutrality", according to which Japanese oil and coal concessions were transferred to the ownership of the USSR.
The main reason for this change lay on the surface - the Mikado government no longer had the opportunity to drag out the process even further, since the Japanese Navy could no longer ensure the safe transportation of oil produced in Sakhalin to the archipelago. The American fleet has already blocked all possible routes that seem so short only on the map.
Well, Berlin's repeated demands subsequently expressed to the Japanese simply to unleash a war against the USSR would mean inevitable defeat for the Far Eastern ally. However, there were also those among the Japanese who considered the attack on Pearl Harbor, which marked the beginning of the war with the United States, suicidal. And after Stalingrad, the performance of the Japanese could hardly have given the Germans anything.

From a military point of view, Moscow had to proceed from the fact that it only needed to hold out for some time against a possible Japanese aggression, and to decide the matter after the arrival of reinforcements from the western part of the country. Is it because at a conference in Tehran at the end of 1943, Stalin made it clear to Roosevelt and Churchill that Russia was not going to evade the fulfillment of its allied obligations.
This was hardly worth considering as a response to the firm decision of the United States and Great Britain to open a Second Front in Europe. Only on November 6, 1944, on the eve of the next anniversary of the Great October Revolution, when France was practically liberated, did Stalin directly violate Soviet-Japanese neutrality.
He directly named Japan among the aggressive states, which will inevitably be defeated. In Tokyo, they understood everything correctly, they reprinted the speech of the Soviet leader almost without cuts, thereby starting the psychological preparation of the population for the inevitable. There was even a certainty among Soviet diplomats that the Japanese would soon leave Germany as an ally, but the Allies managed to deal with the Nazis six months earlier than with the Yamato empire.